Lay-off and short-time working contract clause


Can anyone help by sharing/ providing the wording of Layoff and Short Term Working Clause that they have within their contract of employment.

We need to add this to our current contract but we need some guidance on what is the best wording given current circumstances.  We are a tiny company (5 employees) so do not have access to HR Inform, so any help from by CIPD buddies would be very welcome.

Many thanks in advance.


  • 16. Lay-Offs

    The Company reserves the right to lay you off or put you on short-time working where the needs of the Company’s business make it necessary. You will be paid statutory guarantee payments during a period of any lay-off or short-time working.

Here the piece breaks off for data records.
No. 1
## AlAsOs2 (PBE-GGA)

Data for a relaxed structure of AlAsOs2.

Summary:
**Total magnetic moment**: 0.00 μB/atom
**Volume**: 58.3 Å³ per cell
**Offset from the most stable computed form**: 377.0 meV/atom

abc: 4.918 4.918 4.918
angles: 135.16 135.16 65.28
Fractional positions:
Al: 0.000 0.000 0.000
As: 0.250 0.750 0.500
Os: 0.500 0.500 0.000
Os: 0.750 0.250 0.500



No. 2
## Ta2TcOs (PBE-GGA)

Data for a relaxed structure of Ta2TcOs.

Summary:
**Total magnetic moment**: 0.00 μB/atom
**Raw total energy**: -11.58 eV per atom
**Volume**: 65.1 Å³ per cell

abc: 5.348 5.348 5.348
angles: 145.32 130.94 61.47
Fractional positions:
Ta: 0.000 0.000 0.000
Ta: 0.746 0.246 0.500
Tc: 0.240 0.740 0.500
Os: 0.503 0.503 0.000



No. 3
## ZrNpZnO6 (PBE-GGA)

Data for a relaxed structure of ZrNpZnO6.

Summary:
**Energy relative to the elements, uncorrected**: -2567.0 meV per atom
**Total magnetic moment**: 0.11 μB/atom
**Volume**: 231.3 Å³ per cell

abc: 5.297 5.297 9.519
angles: 90.00 90.00 120.00
Fractional positions:
Zr: 0.000 0.000 0.000
Zr: 0.000 0.000 0.500
Np: 0.333 0.667 0.250
Np: 0.667 0.333 0.750
Zn: 0.333 0.667 0.750
Zn: 0.667 0.333 0.250
O: 0.009 0.336 0.129
O: 0.009 0.674 0.371
O: 0.326 0.336 0.371
O: 0.326 0.991 0.129
O: 0.336 0.009 0.629
O: 0.336 0.326 0.871
O: 0.664 0.674 0.129
O: 0.664 0.991 0.371
O: 0.674 0.009 0.871
O: 0.674 0.664 0.629
O: 0.991 0.326 0.629
O: 0.991 0.664 0.871



No. 4
## Pm5TmTl (PBE-GGA)

Data for a relaxed structure of Pm5TmTl.

Summary:
**Total magnetic moment**: 0.00 μB/atom
**Raw total energy**: -4.20 eV per atom
**Volume**: 240.8 Å³ per cell

abc: 4.815 4.815 10.382
angles: 90.00 90.00 90.00
Fractional positions:
Pm: 0.000 0.000 0.000
Pm: 0.000 0.500 0.246
Pm: 0.000 0.500 0.754
Pm: 0.500 0.000 0.246
Pm: 0.500 0.000 0.754
Tm: 0.500 0.500 0.500
Tl: 0.500 0.500 0.000



No. 5
## Sr2FeMo (PBE-GGA)

Data for a relaxed structure of Sr2FeMo.

Summary:
**Total magnetic moment**: 0.56 μB/atom
**Volume**: 97.7 Å³ per cell
**Offset from the most stable computed form**: 721.9 meV/atom

abc: 10.618 10.618 10.618
angles: 17.81 17.81 17.81
Fractional positions:
Sr: 0.249 0.249 0.249
Sr: 0.751 0.751 0.751
Fe: 0.500 0.500 0.500
Mo: 0.000 0.000 0.000



No. 6
## Ho5Mg3 (PBE-GGA)

Data for a relaxed structure of Ho5Mg3.

Summary:
**Total magnetic moment**: 0.00 μB/atom
**Raw total energy**: -3.50 eV per atom
**Volume**: 224.3 Å³ per cell

abc: 3.699 3.699 16.391
angles: 90.00 90.00 90.00
Fractional positions:
Ho: 0.000 0.000 0.000
Ho: 0.000 0.000 0.238
Ho: 0.000 0.000 0.762
Ho: 0.500 0.500 0.381
Ho: 0.500 0.500 0.619
Mg: 0.000 0.000 0.500
Mg: 0.500 0.500 0.118
Mg: 0.500 0.500 0.882



No. 7
## LaNdNO (PBE-GGA)

    Hope that helps - though more learned colleagues may be able to improve or add to it!
  • Sound advice from Sam.
    Remember also that if the layout is prologed, staff can claim that they are redundant.
    This means 4 successive weeks or 6 weeks in a 13 week period.
  • We have the following words - (Company name) reserves the right to introduce short-time working or a period of temporary lay off without pay where this is necessary to avoid redundancies or where there is a shortage of work. The company will comply with any statutory guaranteed minimum payment obligations.
  • In reply to Meena:

    Many thanks Meena, much appreciated.
  • In reply to Sam:

    Many thanks Sam. Much appreciated.
  • In reply to Clayre Patricia:

    I slightly prefer Meenas clause as it highlights the no pay save for statutory amounts
  • In reply to Keith:

    Some clauses specify a maximum number of days of layoff. If no maximum is specified, it will be implied that the lay-off should be only for a reasonable period. Where there is an express right to lay off an employee without pay, as has been said, the employee may be entitled to a guarantee payment. As also said, laying off an employee may also give rise to an entitlement to a statutory redundancy payment
  • In reply to Ray:

    You may also wish to include wording on the employer's contractual ability to reduce hours of work in this clause. Technically this would need to be more hours of work than short time working which is less than 50% of normal hours but less than 100% of normal hours. This avoids a potential redundancy claim although there are also other ways that an employer can avoid redundancy by offering some work with the other two methods. Both lay off and short time working attract a possible redundancy application after 4 consecutive weeks or 6 non-consecutive weeks but as the employee needs to resign to receive this, there can be a large cost saving for the employer as the notice is the employee's, not the employer's.